Sunday, February 01, 2015

German and EU hypocrisy and short memories on Greece : Syriza aren't extremists - they're asking for the same debt relief deal Greece gave Germany in 1953. The EU is handing the banks almost ten times the amount of money Greece is asking written off in debts

Syriza extremists or unrealistic? No, moderates, asking for deal Germany got in 1953

The deal Syriza are looking for is a reasonable one. For their creditors to forgive 50% of their debts, for debt repayments to only have to be made once the Greek economy is growing again, for the EU to stop privatising Greek government assets and services by selling them off for buttons at the bottom of the market, and an end to austerity policies which prevent growth (1).

This is a plan based on the 1953 London Agreement under which Germany was forgiven 50% of its debts incurred during two world wars and from Marshall Plan aid from the US after them. The creditors forgiving half of those debts included the governments of Greece, Ireland and Spain, three of the four countries much derided as ‘PIGS’ over the debt crisis. The London Agreement also included Germany only having to pay back debts out of 3% of its export earnings, so that its creditors imported German products (2).

While saying there will be no more debt reductions for Greece, Angela Merkel and other EU government leaders have approved issuing 1.1 trillion (one thousand one hundred billion) euros of “quantitative easing” money to be handed straight to private banks (3).

How is it that there is infinite money available to the banks, but none to keep ordinary people in work? Or even on benefits while there are more unemployed people than job vacancies?

How is it that one thousand, one hundred, billion euros can be created and handed to the banks, but none of it can be used to reduce Greece’s debt of around 300 billion euros by half (150 billion)? (4)

Syriza’s proposal is that some of the QE money should be used by the European Central Bank to buy bonds not just from private banks, but from governments suffering debt crises, like Greece and Spain’s.

Some Greek and American economists are saying the only problem with Syriza’s proposals are that they’re not radical enough (5) – (6).

While many have tried to paint Syriza as being left wing extremists, mirroring the neo-nazi Golden Dawn party’s right wing extremism, in fact Syriza’s leadership are moderate left wingers. Even the Telegraph newspaper, which favours the right wing of a Conservative party whose centre is right of Thatcher, considers Yanis Varoufakis, Syriza’s Finance Minister, to be a moderate (7).

Far from being ideologically opposed to EU or Euro membership, Syriza leader Alexis Tspiras preferred a coalition with the right wing but anti-austerity Independent Greeks party to one with the radical left KKE party which wants to leave the Euro and the EU (8).

Lazy Greeks? Nope – they work the longest hours in Europe

The supposedly “lazy” Greeks work, on average, the longest hours of any nationality in the EU according to OECD figures, over 2,000 hours per year, and did so even before the crisis. The “hard working” Germans rank 33rd at under 1400 hours a year .The average employed person in the UK works 1,600 hours a year, 400 less than the average Greek. (9) – (10)

Other studies found that Greeks work on average 38 hours a week, compared to 35 in the UK and Germany (11).

And Germans take  more days of holidays per year than Greeks too (12).

Greece allowed more tax avoidance and corruption?
There are tax havens and corruption in UK dependencies and across Europe

Tax avoidance by Greeks is also often raised to try to justify the conditions imposed by the EU. Tax avoidance is certainly a serious problem in Greece, but the idea that other EU countries have done anything to prevent it is laughable. The UK allows offshore ones in the Channel Islands and in the UK dependencies of Bermuda and Belize, as well as the main party in government in the UK getting more than half its donations to party funds from the financial sector. Both Luxembourg and Switzerland are renowned tax havens.

It’s highly likely that much of the tax money avoided by wealthier Greeks is in those tax havens in other EU countries and territories they control. Since they’re demanding a crack down on tax avoidance and evasion by the Greek government, perhaps they could help out at the other end by closing down their own tax havens?

Mark Field, the Conservative MP for the City of London & Westminster, Mark Field, boasted in 2010 about all the foreign money coming into UK tax havens (13).

Government minister Francis Maude said in 2012 that turning the UK into a tax haven is “exactly what we are trying to do” (14).

Lord Fink, Treasurer of the Conservative party, and director of three firms with subsidiaries in tax havens (the Cayman Island,s Luxembourg and Guernsey) called for the same (15).

And progress has been made towards making the mainland UK a tax haven, with many US firms now relocating their headquarters for tax purposes here (16).

Ireland’s economic “miracle” and then collapse were, like Britain’s , largely down to deregulation (though worse for Ireland as it didn’t have it’s own currency). This included Ireland slashing its corporation taxes to the lowest in Europe in order to get companies to relocate there for tax purposes (17).

That’s why Ireland was able to recover relatively fast from the crisis. But, as Greek government ministers point out, there is not room for every country in the EU to have the lowest taxes, and competition to reduce taxes results in crises for government funding in all of them.

As the firms and banks benefiting most from tax havens also tend to be big donors to party funds for the biggest parties in countries across the EU, corruption is as much a problem in the UK as in Greece, it’s just done in a more formalised way and at a higher level in Britain.
Cash in brown envelopes is for amateurs. Donations to party funds, and jobs as advisers or directors for retiring ministers for favours done in office, are preferred.

Does Greece have any choice but to do what the EU and Germany say?

Yes. It could drop the Euro as a currency and return to the drachma, or adopt another currency, such as the dollar. This would likely cause another crisis and considerable hardship, but with the austerity imposed by the EU having seen average incomes cut 40% and unemployment over 25%, most Greeks are already suffering plenty of hardship and might decide that having control of their own government and economic and welfare policy and budgets again was worth a bit more.

This would likely lead to a run on the Euro, which might well lead to Portugal, Spain and maybe even Italy also dropping the Euro as currencies. The Eurozone benefits Germany most of all. Countries leaving the Eurozone would reduce German export earnings, which have been greatly increased by the Eurozone effectively reducing the price of German exports in countries using the Euro (18).


(1) = Greek Reporter 28 Jan 2015 ‘Greece: This is SYRIZA’s New Government Plan in Detail’,

(2) = EU Observer 07 Jan 2015 ‘Europe's debt revolution: Can Syriza's plan work?’,

(3) = BBC News 22 Jan 2015 ‘ECB unveils massive QE boost for eurozone’,

(4) Washington Post 30 January2015 ‘Greece really might leave the euro’ =

(5) = Truthout 22 Jan 2015 ‘Economist Leonidas Vatikiotis: Syriza's Proposals Don't Go Far Enough for Greece’,

(6) = NYT 26 Jan 2015 ‘Ending Greece’s Nightmare’,  by Paul Krugman,

(7) = Telegraph 26 Jan 2015 ‘Yanis Varoufakis: Greece’s future finance minister is no extremist’,

(8) = Guardian 26 Jan 2015 ‘Greece: claims of a far-left victory are nonsense’,

• What comes next are materials data, not part of the entry:
=====
Computed powder diffractogram of HfSe2O6 for copper Kα, from the PBE geometry in Alexandria.
Neutral-atom scattering factors, no anomalous dispersion.

The 10 most intense peaks (10 to 90 degrees two-theta), in order of rising 2θ:
2theta, I (rel.)
13.23, 68
20.27, 84
21.69, 63
26.64, 100
29.86, 91
34.61, 60
37.20, 46
44.20, 31
46.34, 26
54.26, 60

Structure:
```
data_HfSe2O6
_chemical_formula_sum 'Hf1 Se2 O6'
_space_group_name_H-M_alt 'P 1'
_space_group_IT_number 1
_space_group_name_Hall 'P 1'
_cell_length_a 7.330
_cell_length_b 7.330
_cell_length_c 7.330
_cell_angle_alpha 41.41
_cell_angle_beta 41.41
_cell_angle_gamma 41.41
loop_
_atom_site_label
_atom_site_fract_x
_atom_site_fract_y
_atom_site_fract_z
Hf1 0.000 0.000 0.000
Se1 0.234 0.234 0.234
Se2 0.433 0.433 0.433
O1 0.123 0.347 0.721
O2 0.223 0.995 0.593
O3 0.347 0.721 0.123
O4 0.593 0.223 0.995
O5 0.721 0.123 0.347
O6 0.995 0.593 0.223
```

~~~~~

Diffraction record for Dy4Tl2CdPd. The PXRD pattern is calculated, not measured: it uses a structure optimized by DFT (GGA-PBE) and Cu Kα, 1.54184 Å.

Structure:
```
data_Dy4Tl2CdPd
_chemical_formula_sum 'Dy4 Tl2 Cd1 Pd1'
_space_group_name_H-M_alt 'P 1'
_space_group_IT_number 1
_cell_length_a 9.0408
_cell_length_b 9.0408
_cell_length_c 9.0408
_cell_angle_alpha 33.87
_cell_angle_beta 33.87
_cell_angle_gamma 33.87
loop_
_space_group_symop_operation_xyz
'x,y,z'
loop_
_atom_site_label
_atom_site_fract_x
_atom_site_fract_y
_atom_site_fract_z
_atom_site_occupancy
Dy1 0.1170 0.1170 0.1170 1
Dy2 0.3692 0.3692 0.3692 1
Dy3 0.6308 0.6308 0.6308 1
Dy4 0.8830 0.8830 0.8830 1
Tl1 0.2441 0.2441 0.2441 1
Tl2 0.7559 0.7559 0.7559 1
Cd1 0.5000 0.5000 0.5000 1
Pd1 0.0000 0.0000 0.0000 1
```

The 12 most intense peaks (2θ from 15° to 90°), in order of rising 2θ:
34.0 deg, I = 100
34.3 deg, I = 90
47.1 deg, I = 6
49.1 deg, I = 33
60.9 deg, I = 19
61.1 deg, I = 34
61.5 deg, I = 12
65.2 deg, I = 6
71.7 deg, I = 12
72.2 deg, I = 8
81.9 deg, I = 15
82.3 deg, I = 11

---

Diffraction record for Tb3GaGe2. The PXRD pattern is calculated, not measured: it uses a structure optimized by DFT (GGA-PBE) and Cu Kα, 1.54184 Å.

Structure:
```
data_Tb3GaGe2
_chemical_formula_sum 'Tb6 Ga2 Ge4'
_space_group_name_H-M_alt 'P 1'
_space_group_IT_number 1
_cell_length_a 7.3822
_cell_length_b 7.3822
_cell_length_c 7.3822
_cell_angle_alpha 64.15
_cell_angle_beta 64.15
_cell_angle_gamma 64.15
loop_
_space_group_symop_operation_xyz
'x,y,z'
loop_
_atom_site_label
_atom_site_fract_x
_atom_site_fract_y
_atom_site_fract_z
_atom_site_occupancy
Tb1 0.0770 0.7500 0.4230 1
Tb2 0.2500 0.5770 0.9230 1
Tb3 0.4230 0.0770 0.7500 1
Tb4 0.5770 0.9230 0.2500 1
Tb5 0.7500 0.4230 0.0770 1
Tb6 0.9230 0.2500 0.5770 1
Ga1 0.0000 0.0000 0.0000 1
Ga2 0.5000 0.5000 0.5000 1
Ge1 0.1643 0.1643 0.1643 1
Ge2 0.3357 0.3357 0.3357 1
Ge3 0.6643 0.6643 0.6643 1
Ge4 0.8357 0.8357 0.8357 1
```

The 12 most intense peaks (2θ from 15° to 90°), in order of rising 2θ:
27.4 deg, I = 100
38.5 deg, I = 52
39.8 deg, I = 54
=====
• So much for the materials data:

(9) = OECD Stat Extracts ‘Average annual hours actually worked per worker’,

(10) = BBC News 26 Feb 2012 ‘Are Greeks the hardest workers in Europe?’,

(11) = Busting the myth of France’s 35-hour workweek,

(12) = See (10) above

(13) = Bloomberg 03 Nov 2010 ‘Tax Havens Send ‘Massive Capital’ to London, Lawmaker Says’,

(14) = This IS Money 07 Apr 2012 ‘Francis Maude in new row after saying it would be a compliment if Britain were seen as a 'tax haven' under coalition’,

(15) = Guardian 21 Sep 2012 ‘Tory treasurer wants UK to become more like a tax haven’,

(16) = Reuters 09 Jun 2014 ‘Britain becomes haven for U.S. companies keen to cut tax bills’,

(17) = Forbes Magazine 06 Nov 2013 ‘If Ireland Is Not A Tax Haven, What Is It?’,

(18) = Business Insider 20 Nov 2011 ‘Why German Taxpayers Should Be Forced To Bail Out Italians And Greeks’,